The Mole People
Page 26
Bethea, Michael, 67, 152, 153, 156–58
optimistic views of, 162–63
Big D, 12
Bill, 91–92, 93
Bingo, 186, 188, 189
Blade, 5, 237–47
on anger, 238–39
background, 239
depth of character, 237–38
and the Harlem gang, 183, 184, 185, 187, 188, 190
on killing, 242
BMT. See Brooklyn Manhattan Transit (BMT)
Bob, 88, 105–9, 237, 249
Boggs, Joyce (Billy), 154
Borges, Jorge Luis, 171
Bowery, 49–58
history of, 49–50
Romero on, 51–54
Brenda, 116, 117, 213–19, 249
Bridges, Jeff, 216
Broadway-Lafayette Station, 54
Bronze Age, 36
Brooklyn Bridge Station, 131
Brooklyn Manhattan Transit (BMT), 45
Brown, Claude, 201, 202
Buckley, Rob, 90–91, 95–96
on underground communities, 91, 94
“Burma’s Road,” 47
Burnes, Donald, 40
“Burrow, The”(Kafka), 169
Butch (Brenda’s boyfriend), 116, 117
Butch (tunnel birth observer), 78, 79, 80
Buxton, Derbyshire, 37
Candy, 18
Cannibalistic Human Underground Dwellers (CHUDS), 74, 205
Carlos, 137, 138, 140–41
on hope, 148–49
Castleman, Craig, 134
Cathy and Joe, 225–26
Central Park, 192, 213, 215, 216, 234, 245
Cher, 229–30, 233
children underground, 77–86
adaptability of, 84
in J.C.’s community, 82
Julie, 82–84
Teresa’s family, 84–86
Chitthum, Samme, 99
Chud, 205, 206
CHUDS. See Cannibalistic Human Underground Dwellers (CHUDS)
Cimmerians, 35–36
Cindy, 24–25
”city of friends,” 203–11
and Rex, 209–210
and Sam, 207–9, 210–11
Coalition for the Homeless, 88, 104. See also homeless advocates; tunnel outreach
Columbia University, 1, 2
“Condos, the,” 20–21, 47
Henry’s discovery of, 66–67
What comes next are quantum chemistry results, not part of the piece.
........
# 1
{
  "formula": "C3H6N3P",
  "method": "ωB97M-V/def2-TZVPD",
  "relative_energy_ev": 7.9725,
  "lumo_ha": [-0.0453, -0.0453],
  "elements": ["C", "C", "C", "N", "N", "N", "P", "H", "H", "H", "H", "H", "H"],
  "coordinates": [[0.846, -1.258, -0.380], [-1.899, -1.765, 0.486], [1.804, -0.346, 0.188], [1.330, 0.959, 0.228], [0.070, 1.046, 0.369], [-0.414, 2.269, 0.095], [-0.833, -0.775, -0.148], [0.919, -2.360, -0.319], [-2.028, -2.652, 0.953], [2.857, -0.281, 0.293], [-0.113, 2.716, -0.722], [-1.327, 2.586, 0.358], [-1.212, -0.140, -1.401]]
}

***

# 2
{
  "formula": "C22H27N3O6S",
  "method": "ωB97M-V/def2-TZVPD",
  "smiles": "[H]/N=C1/C(c2nc(C)cs2)=C(O)CN1c1ccc2c(c1)OCCOCCOCCOCCO2",
  "relative_energy_ev": 3.1008,
  "lumo_ha": 0.0273,
  "elements": ["H", "N", "C", "C", "C", "N", "C", "C", "C", "S", "C", "O", "C", "N", "C", "C", "C", "C", "C", "C", "O", "C", "C", "O", "C", "C", "O", "C", "C", "O", "C", "C", "O", "H", "H", "H", "H", "H", "H", "H", "H", "H", "H", "H", "H", "H", "H", "H", "H", "H", "H", "H", "H", "H", "H", "H", "H", "H", "H"],
  "coordinates": [[-3.181, 1.917, 1.421], [-4.050, 1.510, 1.095], [-3.946, 0.463, 0.393], [-5.110, -0.274, -0.084], [-6.474, 0.099, 0.084], [-7.450, -0.630, -0.381], [-8.663, -0.084, -0.107], [-9.901, -0.778, -0.564], [-8.600, 1.088, 0.584], [-6.967, 1.541, 0.915], [-4.707, -1.404, -0.712], [-5.482, -2.330, -1.264], [-3.214, -1.498, -0.678], [-2.835, -0.256, -0.034], [-1.503, 0.156, 0.034], [-1.151, 1.496, -0.094], [0.178, 1.871, -0.034], [1.199, 0.944, 0.131], [0.854, -0.415, 0.259], [-0.487, -0.778, 0.206], [1.704, -1.467, 0.412], [3.054, -1.270, 0.795], [3.619, -2.662, 1.104], [5.004, -2.675, 1.345], [5.845, -2.597, 0.215], [6.553, -1.247, 0.056], [5.695, -0.305, -0.544], [6.349, 0.884, -0.927], [5.306, 1.897, -1.427], [5.135, 2.988, -0.550], [4.389, 2.714, 0.613], [2.876, 2.640, 0.356], [2.528, 1.290, 0.140], [-10.781, -0.213, -0.271], [-9.952, -1.774, -0.128], [-9.888, -0.887, -1.647], [-9.414, 1.701, 0.913], [-6.415, -2.032, -1.131], [-2.777, -1.579, -1.679], [-2.902, -2.376, -0.099], [-1.904, 2.246, -0.275], [0.419, 2.915, -0.150], [-0.707, -1.828, 0.312], [3.119, -0.637, 1.686], [3.630, -0.810, -0.012], [3.360, -3.332, 0.272], [3.161, -3.052, 2.017], [6.619, -3.361, 0.355], [5.289, -2.817, -0.703], [6.883, -0.892, 1.043], [7.441, -1.391, -0.578], [6.895, 1.317, -0.076], [7.081, 0.659, -1.718], [5.633, 2.343, -2.368], [4.362, 1.365, -1.586], [4.709, 1.775, 1.079], [4.602, 3.547, 1.287], [2.638, 3.256, -0.522], [2.332, 3.032, 1.225]]
}

***

# 3
{
  "formula": "C33H30N3O2Se3Te2Y",
  "method": "ωB97M-V/def2-TZVPD",
  "relative_energy_ev": 0.1011,
  "lumo_ha": -0.0251,
........
The quantum chemistry results stop here.
Covenant House, 136, 140, 145
Creation (Michelangelo), 125
Crimeans, 36
Crump, Daniel, 161
Dale, 56
Dameon, 137
Dante, 170
Dara, 84, 85, 86
Dark Angel, 165–68
Jamall on, 234
Dart, 187, 188
David, 136–37, 138
Deamues, Harold: on children underground, 84
on the Dark Angel, 167–68
on the mole people, 159, 161
work with ADAPT, 67, 84, 158–59, 160, 161, 162, 163
Demetrius (”Taki 183”), 132
Denise, 57
Dericka, 223, 224
de Sant-Fond, Faugas, 37
Dickens, Charles, 173
Dirty Slug, 129, 133
Doc (Fabulous Five member), 129, 133
Doc (Harlem gang member), 186, 188, 189
Dolly, 145–46, 148, 250
Don, 109–10
Dopey, 209
Dostoyevsky, Fyodor, 176, 177
Douglas Housing Project, 224
Dunsley Rock (Gibraltar), England, 36–37
Dwane, 84, 85
Dwayne, 89
Dwyer, Jim, 44
Edwards, Dee, 88
Eleanor Kennedy shelter, Fairfax, Virginia, 40
Eliot, George, 173
Ellison, Ralph, 177
Fabulous Five, 129–31
Farrell, Neil, 49, 57
Fay, 206, 210
Felicia, 138–39, 143–44, 146, 147
Fisher King, The, 215
Flacko, 11, 26
Flip, 111, 112
Fort Washington shelter, 56, 57, 116
Fran and Shorty, 225
Frank (runaway), 141–42, 143, 146, 148, 250
Frank (Virginia’s boyfriend), 95–96
Franko, 23
Fred, 79
Frederick, 135–39, 249
”Freedom.” See Pape, Chris (”Freedom”)
Freud, Sigmund, 173–74
Garner, Robert, 36–37
Gayle, Kristen, 1–2, 82–83
George (Blade’s associate), 243, 244
George (”city of friends” resident), 204–5, 206, 207, 211
Getting Up: Subway Graffiti in New York (Castleman), 134
Ghost, 51
”Ghost Cliff,” 234
[Quantum chemistry results, as found in the file]
-- begin --
1.
Computed, not measured: a 11-piece molecular cluster, C28H51N7O4S4 overall, with ωB97M-V/def2-TZVPD.

```
94
Properties=species:S:1:pos:R:3:forces:R:3:lowdin_charge:R:1
C 26.444400 3.806390 -11.060960 -1.045 0.195 0.937 -0.2300
S 25.882910 3.441460 -9.285110 3.372 -1.257 -0.098 0.8595
O 26.692390 2.203170 -8.877610 -1.652 0.763 -0.662 -0.6059
C 26.825270 4.691930 -8.324480 -1.039 1.057 0.469 -0.2726
H 25.642450 3.535360 -11.747640 -0.090 -0.347 0.213 0.0321
H 27.329170 3.207490 -11.276800 0.097 0.394 0.261 0.0514
H 26.508140 4.890840 -11.150320 0.600 -0.062 -0.026 0.0345
H 26.841000 5.686510 -8.770190 -0.149 -0.038 -0.203 0.0410
H 27.808440 4.485080 -7.901760 0.132 -0.878 -0.942 0.0595
H 26.217680 4.766990 -7.422640 -0.240 0.176 0.040 0.0304
C 23.925720 15.313810 -20.186150 0.638 2.620 1.291 -0.3474
S 23.466180 13.691510 -20.407650 -0.532 -3.374 2.189 0.8291
O 23.703050 12.961640 -19.034670 -0.397 1.575 -2.723 -0.5800
C 21.650700 13.986820 -20.459320 1.352 -0.275 -0.293 -0.2396
H 24.946310 15.393260 -19.811760 0.170 -0.334 -0.389 0.0628
H 23.343830 15.729310 -19.363440 -0.257 0.056 0.049 0.0624
H 23.796100 15.967680 -21.048560 0.008 -0.330 -0.209 0.0655
H 21.498490 14.894770 -21.042900 -0.316 -0.147 0.014 0.0475
H 21.366070 14.083970 -19.411630 -0.195 -0.052 -0.170 0.0583
H 21.284660 13.090660 -20.960330 -0.475 0.251 0.242 0.0414
C 28.519610 5.057160 -20.680490 -0.483 0.132 -0.685 -0.2608
S 27.940160 4.621940 -22.378330 -0.972 0.634 -0.229 0.8158
O 26.473080 4.295970 -22.370660 0.710 -0.415 0.501 -0.5788
C 27.816100 6.292350 -23.106750 0.888 -0.301 0.722 -0.2589
H 27.997900 5.886200 -20.202350 -0.299 -0.004 -0.283 0.0513
H 29.566950 5.338990 -20.788900 0.098 -0.372 0.172 0.0445
H 28.336840 4.147490 -20.108470 0.389 0.052 0.034 0.0444
H 28.713200 6.882890 -22.920840 0.020 0.057 0.001 0.0454
H 26.964240 6.676840 -22.545850 -0.060 0.252 -0.459 0.0491
H 27.674290 6.183210 -24.181960 -0.301 -0.021 0.235 0.0480
C 18.646930 5.054740 -23.650510 -0.176 1.295 -0.898 -0.2696
S 17.536350 4.288160 -24.868550 0.159 -3.402 1.009 0.8293
O 16.904100 3.031870 -24.256920 0.368 2.062 -0.789 -0.5816
C 16.335290 5.599150 -25.131310 0.071 0.953 0.866 -0.2712
H 18.863690 5.875830 -24.333820 0.582 0.678 0.331 0.0272
H 19.605450 4.570690 -23.463340 -0.433 -0.606 -0.310 0.0553
H 18.270800 5.489980 -22.724660 -0.534 -0.369 -0.078 0.0576
H 15.321610 5.222340 -25.267580 0.308 -0.286 -0.112 0.0609
H 16.674520 6.193460 -25.979730 -0.111 -0.268 -0.195 0.0475
H 16.343720 6.282330 -24.282020 -0.221 -0.067 0.181 0.0445
C 21.253770 -1.399240 -22.400820 0.066 1.075 0.638 -0.0843
C 22.699010 -1.597510 -22.696520 1.190 -1.272 -0.471 -0.2540
N 23.802210 -1.861130 -22.986570 -2.557 0.841 0.761 0.1125
H 20.655310 -2.210250 -21.985840 0.612 -0.752 -0.752 0.0782
H 20.741600 -0.910790 -23.229800 0.106 -0.364 -0.168 0.0777
H 21.113580 -0.707100 -21.570530 0.576 0.473 -0.015 0.0700
C 16.230280 -1.100410 -13.932450 -1.195 0.421 -0.191 -0.0609
-- stop --
Gissing, George, 173
Goya, Francisco José de, 126
graffiti artists. See graffiti writings and writers; tunnel art and artists
graffiti writings and writers, 119, 121, 122, 127, 129–34
Fabulous Five, 129–31. See also tunnel art and artists
Grand Central Station, 3, 4, 57, 84, 122, 151, 161, 219
estimate of underground population, 39
evictions from, 47
J.C.’s community under, 61, 82, 191–202
Williams’s residence under, 12, 13, 19, 21, 23, 26–27
Granick, Harry, 43, 46
Guardian Angels, 230, 239n.
Guernica (Picasso), 126
Hammer, 48
Harlem gang, 183–90
Hector, 99–101
HELP. See Homeless Emergency Liaison Project (HELP)
Henry, Sergeant Bryan, 5, 12, 43, 59–63, 65–67, 82
and “the Condos,” 21, 66–67
on the Dark Angel, 166–67
frustration experienced by, 59–61
initial meeting with author, 3–4
and J.C., 61 63, 66
and Michelle, 219–20
photograph of, 60
Williams on, 26
History of Graffiti (Pape), 125
homeless advocates, 4–5, 40, 104–5. See also Coalition for the Homeless; tunnel outreach
Homeless Credo, 109
Homeless Emergency Liaison Project (HELP), 151–55
HRA. See New York City Human Resources Administration
Hudson Street, 49–50
Hugo, Victor, 172, 173
“human morality,” 209
“human religion,” 209
Interborough Rapid Transit (IRT), 183, 184
International Encyclopedia of Social Sciences, 89
Invisible Man (Ellison), 177–79
Iris, 16–18
IRT. See Interborough Rapid Transit (IRT)
Isaacs, Bernard, 5, 88–89, 249
and Bob, 88, 105–9
on David, 137
and Don, 109–10
and Flip, 111
and Hector, 99–101
on homeless advocacy groups, 104–5
and John, 113–15
photograph of, 118
on the Rotunda community, 94
and Sheila, 226, 227
and Shorty, 225
source of income, 102–3, 107
and Tim, 110–11
and Tom, 116–17
and Tony, 111–13
and tunnel art and artists, 119–20, 124–25, 126, 127
tunnel community of, 75, 97–118
on underground people, 117
Israely, Beverly, 90
Jamaica, 189
Jamall, 166, 168, 229–35
Japan, 38
J.C., 4, 89
community of, 82, 191–202
and Henry, 61–63, 66
Jeff, 147, 148
Jeffers, Chris, 107–8
Jess, 221
Jesus, 103
Jimmy, 144–45, 146, 147, 148
Joe, 50–51
Joey, 112, 113
John, 113–15, 249
Journey to the Center of the Earth, A
(Verne), 174
Juan, 78
Julie, 1, 2, 77, 82–84
Kafka, Franz, 169
Klambatsen, Sergeant Steve, 54, 55
Lady Pink, 132
Lafayette Street Station, 47
LaJoy, 69–70
law and underground homeless, the, 59–71
police brutality stories, 63–64
and social workers, 67–69
Lee, 129–30, 131, 132–34
Leon, 101
Lexington Avenue Line, 55, 244
Little Man, 182
Logan, Al, 53, 54
London, 38
Los Angeles Times, The, 4
Mac, 29–34, 249
Malcolm, 13
Manchild in the Promised Land (Brown), 201, 202
Martin, Marsha, 39
Marx, Karl, 173–74
Mary, 89
Meitus, Robert, 2
Melvin, 252, 253
Mental Hygiene Law, 154
Metropolitan Transit Authority. See New York City Transit Authority
Metropolitan Transit Police, 12, 43, 61
Michelle, 219–20
Middle Ages, 171, 175
Les Miserables (Hugo), 172
“Modern Troglodytes” (Garner), 36
Moe, 184, 185
Monica, 138–39, 145, 148
Mono, 129, 130, 131, 133
Morningside Park, 2
Moscow, 38
Mosley, Walter, 183
Murphy, Ken, 68
Museum of Modern Art, 125
National Association of Social Workers, 69
Need of Roots, The (Weil), 87
Nell, 81
Neolithic period, 36
Nether World, The (Gissing), 173
New Alliance Party, 183–84
New York City, 2, 6, 73
underground population in, 38–42
underground spaces in, 43–48
New York City Human Resources Administration, 26, 52, 68
New York City Transit Authority, 46, 48, 51, 67, 129
outreach programs sponsored by, 151–53, 156
New York Daily News, The, 99
New Yorker, The, 134
New York Health and Human Services Department, 39, 81
New York Mental Health Association, 40
New York Times, The, 26, 68, 108, 115, 132, 249
No Exit (Sartre), 171
Notes from Underground (Dostoyevsky), 176, 177
Notes on the Underground (Williams), 170–71, 172–73
On Being Homeless: Historical Perspectives (Beard), 50
On Walden Pond (Thoreau), 31
outreach programs. See tunnel outreach
Papa, 221
Pape, Chris (“Freedom”), 100–101, 119, 122, 244, 249–50
and Bernard, 111, 124–25
and Bob, 106
collaboration with Smith, 126–27
on David, 137
on graffiti writing, 132
self-portrait, 120, 123
Paris, 37–38
Paul, 83
Pennick, Nigel, 35, 36, 37
Penn Station, 13, 20, 47, 55, 135, 136, 144, 151, 192, 203, 210
estimate of underground population, 39
Peppin, 63–64
Picasso, Pablo, 126
Plato, 97
Polhemus, Guy, 107
Port Authority Station, 13, 47, 55, 57
Quinones, Jorge Lee. See Lee
Rambo, 204
Razor, 78
Reese, 51
Reliquary, The, 36
Renaissance, 171, 172
Republic, The (Plato), 97
Rex, 206, 209–10, 211
Rico, 167, 168
“Riker’s Island,” 47
Riley, Sergeant Steve, 49
Riverside Park, 107, 135, 181, 215, 224, 226
Bernard’s tunnel community under, 88, 101, 103, 116
Pape’s graffiti writing under, 124, 125
Road Warrior, 34
Rodney, 68–69
Rome, 38, 131
Romero, Lieutenant John, 51–53, 54
Ronda, 79, 80
Roosevelt, President Franklin D., 45
Rotunda community, 92–94, 221, 222
runaways underground, 135–49
Carlos, 140–41, 146
Dolly, 145–46
Frank, 141–42, 143, 146, 148
Frederick, 135–39
Jimmy, 144–45, 146, 147
Monica and Felicia, 139–40
Teddy, 142–44, 147, 148, 149
St. Agnes’ Soup Kitchen, 3, 240, 241
Sally, 79
Sam (All Saints’ Soup Kitchen customer), 94–95
Sam (“city of friends” mayor), 206, 209, 210
on “human morality,” 208–9
on Jamall, 231
on listening, 211
management style, 207–8
“Sane.” See Smith, David (“Sane”)
Saroyan, William, 237
Sartre, Jean-Paul, 171
Scientific American, 45
Scott, Gwendolyn (Gwen), 221–23
Second Avenue Station, 47
Data records, kept here for reference.
+++
Entry 1:
ORCA calculation (ωB97M-V/def2-TZVPD) on a 4-piece molecular cluster, C16H47N3O5Si2 overall.

Last column: Löwdin charge in e.
Atoms and positions in Å:
H1 3.808 1.215 -1.994  0.068
N1 2.557 -0.596 -0.545  0.048
H2 -1.742 1.029 0.359  0.078
H3 -3.477 4.634 0.224  0.079
H4 -4.158 2.647 2.071  -0.026
C1 3.742 0.248 -2.494  -0.055
H5 -1.590 2.431 5.445  0.068
N2 -0.653 2.361 2.988  0.053
H6 2.330 0.319 -0.169  0.070
H7 -0.740 2.354 -0.216  0.064
O1 -0.010 -0.029 4.565  -0.185
O2 0.754 1.191 -2.016  -0.211
C2 -4.436 4.279 -0.173  -0.302
H8 -1.100 -0.766 6.171  0.089
H9 1.319 2.212 -3.734  0.093
H10 5.427 -6.157 -2.548  0.070
H11 -3.029 1.426 5.217  0.081
H12 5.800 -4.622 -0.105  0.137
C3 -2.954 3.435 -1.867  -0.225
H13 -7.932 0.958 -0.040  -0.066
H14 2.634 -1.565 -2.367  0.109
H15 -6.925 2.159 -1.858  -0.054
H16 0.650 -0.560 6.402  0.087
H17 3.466 -6.372 -0.971  0.064
C4 5.146 -5.003 -0.897  -0.437
H18 6.789 -5.439 -2.041  0.070
H19 4.653 -0.303 -2.263  0.072
H20 0.140 2.353 3.623  0.074
H21 -1.967 -0.578 4.189  0.120
H22 -0.307 2.022 2.097  0.048
H23 -6.305 -0.154 -1.445  -0.066
H24 -5.092 5.153 -0.209  0.082
C5 2.530 -0.535 -2.006  -0.437
H25 -2.227 2.687 0.677  0.038
N3 5.951 -5.908 -1.715  0.038
H26 2.482 -5.420 -2.640  0.075
O3 -5.472 1.577 0.191  -0.515
C6 -1.772 2.033 -0.072  -0.116
H27 0.420 -0.765 -2.311  0.124
H28 4.027 -3.142 -1.018  0.108
H29 4.446 -6.500 0.481  0.076
H30 -0.422 0.854 6.416  0.073
H31 -3.456 1.451 -1.286  0.094
C7 -1.683 1.463 3.507  -0.450
H32 -2.922 3.498 -2.955  0.120
H33 -2.444 1.366 2.725  0.095
O4 4.022 -4.024 -2.889  -0.189
H34 1.246 0.039 -3.660  0.122
H35 0.499 3.149 -2.466  0.082
C8 -1.171 0.042 3.756  -0.203
C9 -2.543 2.043 -1.389  -0.211
C10 2.654 -4.352 -2.800  -0.120
C11 -2.340 2.111 4.720  -0.067
Si1 -5.136 2.964 1.010  0.562
H36 5.549 -3.163 -1.921  0.122
H37 2.169 -3.806 -1.982  0.082
C12 -0.241 -0.121 5.955  -0.110
H38 2.189 -4.063 -3.742  0.089
H39 3.701 0.419 -3.571  0.082
C13 1.196 -0.037 -2.565  -0.195
C14 4.673 -3.760 -1.657  -0.208
Si2 -6.690 1.128 -0.828  0.523
H40 -2.261 4.190 -1.470  0.120
C15 1.228 2.359 -2.652  -0.099
C16 4.025 -5.794 -0.234  -0.068
H41 2.199 2.681 -2.267  0.077
H42 -1.949 1.553 -2.163  0.099
H43 -2.892 2.997 4.408  0.066
H44 -0.886 -0.394 2.795  0.119
H45 1.837 -1.225 -0.204  0.070
H46 -6.386 3.455 1.642  -0.024
H47 3.327 -5.137 0.289  0.079
O5 -4.277 3.810 -1.509  -0.219

**Kohn-Sham gap**: 0.3568 Eh
**HOMO level**: -9.1 eV
**LUMO**: 0.6 eV


Entry 2:
ORCA calculation (ωB97M-V/def2-TZVPD) on C16H48Ag2N9O7 as an isolated structure.

Last column: Löwdin charge in e.
Atoms and positions in Å:
H1 0.750 -2.524 -0.158  0.057
C1 -3.207 -1.112 -5.429  -0.239
C2 -2.506 -1.922 -7.535  -0.084
C3 1.199 -4.307 0.996  -0.431
H2 -0.968 0.056 -4.253  0.087
H3 -1.256 2.792 -2.567  0.064
C4 2.627 -3.858 1.265  -0.245
H4 -0.915 0.018 5.915  0.126
H5 3.736 4.006 -2.380  0.106
H6 -0.323 -5.144 2.020  0.070
H7 4.201 6.154 -1.707  0.107
N1 3.415 3.780 -1.457  0.181
+++
Secret City of Ivan the Terrible, Moscow, 38
Seville. See Williams, Seville
Serrano, Yolanda, 70–71, 153
79th Street, 103, 221
Sheila, 100, 101, 223, 226–27, 249
Shorty (Fran’s boyfriend), 225
Shorty (Seville’s friend), 11, 23
Shorty (tunnel birth observer), 78, 79, 80
Silwa, Curtis, 239n.
Slam, 182
Slave, 129, 130, 133
Slim (”city of friends” resident), 206
Slim (Harlem gang member), 188, 189
Small Talk, 187, 188, 189
Smidge, 33, 34
”Smith.” See Smith, Roger (”Smith”)
Smith, David (”Sane”), 119, 125, 249
death of, 120–21, 250
lawsuit against, 121–22
Smith, Roger (”Smith”), 4, 51, 73–74, 119, 122, 125, 250
collaboration with Pape, 126–27
lawsuit against, 121–22
Sneakers, 243
social workers, 67–69
Sonya, 68–69
Squeeze, 39
Stash, 101
”Stealth,” 181–82
”STIPSO” statute, 154
Stokes, Suellen L., 40
Stone, 221
Subterranean Kingdom: A Survey of Man-Made Structures Beneath the Earth, The (Pennick), 35–36, 37
Subway Lives (Dwyer), 44
Sullivan, Robert E., Jr., 43, 44, 46
”Taki 183.” See Demetrius (”Taki 183”)
Teather, 11
Teddy, 142–44, 147, 148, 149
Teresa, 84–86
Thackeray, William, 173
Third of May (Goya), 126
Thoreau, Henry David, 31
Tierney, John, 115, 249
Tim (member of Bernard’s community), 110–11
Tim (Sally’s boyfriend), 79, 80
Time Machine (Wells), 174–75, 176
Time of Your Life, The (Saroyan), 237
Tina, 252, 253
Tom (Butch and Brenda’s friend), 116–17
Tom (Denise’s friend), 57
Tony, 111–13, 249
on tunnel art, 128
Tracy, 134, 168
Transit Workers and Mechanics Union, 161
Trey, 69–70
Tripper, 95, 96
Tsemberis, Dr. Sam, 153–54, 155, 159–60, 163
Tumulty, Karen, 4
tunnel art and artists, 119–28
Bernard’s involvement with, 119–20, 124–25, 126, 127
May Third mural, 126–28
Pape’s work, 122–26
Tony on, 128. See also graffiti writings and writers
tunnel outreach, 151–63
ADAPT’s efforts, 151, 152, 153, 155–63
Project HELP, 151–55. See also Coalitio
n for the Homeless; homeless advocates
Tweed, Mayor Boss, 45
Tyrone, 244, 245
underground communities, 87–96
Bernard’s tunnel, 75, 97–118
Buckley on, 91, 94
communication network in, 89–90
“families” in, 87
J.C.’s, 191–202
Rotunda, 92–94, 221, 222
underground in history, literature, and culture, 169–79
and the Agharthi legend, 170
in Ellison’s Invisible Man, 177–79
in Hugo’s Les Miserables, 172, 173
in the nineteenth century, 175–76
and the underground man concept, 176–79
in Wells’ Time Machine, 174–75, 176
Underground Man (Abood), 176
underground population, 35–42
Cimmerians, 35–36
in England, 36–37
estimates of, 39
life expectancy of, 41
in New York City, 38–42
in Paris, 37–38
underground spaces, 43–48
Underneath New York (Granick), 43, 46
van Hollar, Roderick (Rick), 221, 222
Vathek (Beckford), 171
Verne, Jules, 174
Vicky, 96
Virginia, 95–96
Volunteer Services for the Grand Central Partnership Social Services Corporation, 90
Volunteers of the Bathroom, 13–14
wanderers, 181–82
Washington Post, The, 40
”We Can,” 107
Weil, Simone, 87
White, Patrick, 32
Whitman, Walt, 211
Williams, Robin, 215, 216
Williams, Rosalind, 170–71, 172–73, 174
Williams, Seville, 11–27, 73, 249
childhood, 15–16
children, 17–18
on dealing drugs, 25–26
and humor, 12–13
and Iris, 16–18
medical treatment, 25
on Peppin, 63–64
on track workers, 75
on tunnels, 20, 27
Willie, 100, 224–25, 226–27, 249
Wilson. See Blade
women underground, 213–27
Brenda, 213–19
Cathy and Joe, 225–26
Dericka, 223
Fran and Shorty, 225
Gwen, 221–23
Michelle, 219–20
Sheila and Willie, 224–25, 226–27
Zack, 192
*Both of these studies were internal and unpublished. Individuals provided them to me.
*J.C.’s community is described in chapter 20.
*Graffiti writers have their own jargon, part of, but different from, other examples of hip-hop culture. “To bomb” is to accomplish a lot in a short time. A “burner” is superior work, so are pieces that are “nasty,” “the death,” “vicious,” “bad,” “dirty,” or “snap.” “Down by law” means having high status.
*Captured in a photo by Henry Chalfant, who recorded much of New York’s graffiti with his camera.
*The runaways brought me into their group as a peer rather than as an adult. They were perhaps the most trusting and open community I met in the tunnels. There were no status lines to break through. They saw that I was like them, only they were on their way to doing what they wanted to do, and I was half a step ahead in doing it. I never had the “adult authority” to take them anywhere.